2008 Local Government Elections

Click Here for the Official Declaration of Results
# Next to the page, the page also holds crystal structures
~~~
Here is crystalline SmMoO5 at its relaxed geometry from Materials Project. Energies are from GGA+U.

a b c (Å): 5.4417 12.8004 7.0943
angles (deg): 90.00 116.54 90.00
Space group P2_1/c (No. 14)
Inequivalent atoms, fractional coordinates:
1 Sm 0.1580 0.0604 0.2847
2 Mo 0.4153 0.1353 0.8550
3 O 0.0419 0.5549 0.9858
4 O 0.2051 0.0607 0.9550
5 O 0.2694 0.6554 0.4206
6 O 0.2807 0.2376 0.2719
7 O 0.4876 0.5752 0.8383


Here is crystalline SnMo5O8 at its relaxed geometry from Materials Project. Energies are from GGA+U.

a b c (Å): 8.3990 9.9689 10.6941
angles (deg): 90.00 110.41 90.00
Space group P2_1/c (No. 14)
Inequivalent atoms, fractional coordinates:
1 Sn 0.1889 0.0563 0.4782
2 Mo 0.0837 0.1286 0.8009
3 Mo 0.1051 0.6359 0.4810
4 Mo 0.2930 0.6415 0.2699
5 Mo 0.3097 0.1240 0.1424
6 Mo 0.4915 0.1360 0.9096
7 O 0.0912 0.5017 0.6381
8 O 0.0965 0.5059 0.1435
9 O 0.1052 0.2338 0.9879
10 O 0.1108 0.7436 0.3112
11 O 0.2861 0.2503 0.2919
12 O 0.3075 0.7504 0.1086
13 O 0.4690 0.5049 0.2529
14 O 0.4958 0.7285 0.4055


Here is crystalline SrMo5O8 at its relaxed geometry from Materials Project. Energies are from GGA+U.

a b c (Å): 8.4094 9.5483 10.8102
angles (deg): 90.00 109.75 90.00
Space group P2_1/c (No. 14)
Inequivalent atoms, fractional coordinates:
1 Sr 0.2161 0.0220 0.4679
2 Mo 0.0897 0.1333 0.8092
3 Mo 0.1044 0.6430 0.4813
4 Mo 0.2925 0.6393 0.2725
5 Mo 0.3056 0.1299 0.1351
6 Mo 0.4925 0.1446 0.9131
7 O 0.0896 0.5009 0.6358
8 O 0.1035 0.2417 0.9901
9 O 0.1092 0.5102 0.1633
10 O 0.1256 0.7333 0.8227
11 O 0.2887 0.2294 0.3046
12 O 0.3059 0.7305 0.1002
13 O 0.4766 0.5037 0.2595
14 O 0.4978 0.7441 0.4064


Here is crystalline Sr3Mo2O7 at its relaxed geometry from Materials Project. Energies are from GGA+U.

a b c (Å): 4.0283 4.0283 21.3218
angles (deg): 90.00 90.00 90.00
Space group I4/mmm (No. 139)
Inequivalent atoms, fractional coordinates:
1 Sr 0.0000 0.0000 0.0000
2 Sr 0.0000 0.0000 0.1887
3 Mo 0.0000 0.0000 0.4010
4 O 0.0000 0.0000 0.3017
5 O 0.0000 0.0000 0.5000
6 O 0.0000 0.5000 0.0974


The following volume values (in Å³ per atom) correspond, in order, to the records above: 15.79; 14.99; 14.59; 14.42.
The following formation enthalpy at 0 K values (in eV per formula unit) correspond, in order, to the records above: -17.23; -20.76; -24.72; -31.65.
~~~
PUBLIC NOTICE is given to the electors of the Regional District of Nanaimo that a general local election will be held on Saturday, November 15, 2008 to elect one Director from each of the following Electoral Areas - 'A', 'B', 'C', 'E', 'F', 'G' and 'H', for a three year term commencing December 2008 and terminating in December 2011.
Current Notices
- Drinking Water & Watershed Protection Service - Electoral Areas A, B, C, E, F, G & H
- Burning Restrictions - Electoral Area E
- Yellowpoint Waterloo Fire Protection Service Area - Portion of Electoral Areas A & C
- Advance Voting Places
- Notice of Nomination 2008 - RDN Electoral Area Directors
- Notice of Nomination 2008 - Islands Trust Trustees
Candidate Information
- Nomination Packages - Submitted by candidates for the positions for RDN Electoral Area Director
- Candidate Addresses and Phone Numbers - Information on how to contact all RDN and Islands Trust candidates
General Information
- RDN Local Elections 2008 Newsletter - Information on where to vote on Election Day, advance voting opportunities, qualificationsto vote, election candidates, and details on both referendums and the plebiscite.
- Election Day Voting Places
- Qualifications For Voting
- Qualifications For Nomination - RDN Director or Islands Trust Trustee
Referendum and Plebiscite Information
- Referendum on Drinking Water and Watershed Protection
This referendum is being conducted to determine whether residents of Electoral Areas A, B, C, E, F, G, and H are in favour of establishing a regional function for Drinking Water and Watershed Protection. The function would enable the RDN to proceed with its Drinking Water and Watershed Protection Action Plan, a strategy for sustaining regional water resources and watershed planning. Regional Watershed Protection would also become part of the RDN's daily operations.- RDN Bylaw 1556 - A Bylaw to Establish a Drinking Water and Watershed Protection Service (subject to referendum)
- RDN Action for Water - In 2008 the RDN launched the Action for Water campaign to publicize the referendum and the Drinking Water and Watershed Protection Action Plan. This section of the website includes details on the referendum, the Action Plan, media coverage, Action for Water public meetings, and frequently asked questions.
- Referendums on fire protection within a portion of the Yellowpoint Waterloo Fire Protection Service area
These referendums are being conducted to determine whether residents in the western portion of the Yellowpoint Waterloo Fire Protection Service area, are in favour of adopting RDN Bylaw 1549, which would authorize the Regional District to borrow up to $560,000 to purchase firefighting vehicles and equipment to be located in the firehall station on Hallberg Road. The intent is to purchase up to two vehicles as well as firefighting gear for volunteers. The amount borrowed would be repaid over a 15 year period. The firehall would be operated by the Cranberry Fire District. A second referendum question seeks residents approval to enter into an agreement with the Cranberry Fire District which would result in the transfer of ownership of the equipment, the firehall and the land at Hallberg Rd. to the Cranberry Fire District once the debt is repaid.- RDN Bylaw 1549 - A Bylaw to Authorize Borrowing for the Purpose of Constructing, Acquiring, and Upgrading Fire Protection Assets (subject to referendum)
- Fire Protection Referendum Information - This page includes details on the referendum and a map of the affected service area.
- Plebiscite on Burning Restrictions for Electoral Area E
This plebiscite is being conducted to determine whether residents of Electoral Area E are in favour of establishing local burning restrictions. The plebiscite will not directly result in new burning restrictions; however it will be used to help the RDN consider establishing burning restrictions in Area E.- RDN Report - Burning Restrictions - September, 2008 RDN staff report recommending a plebiscite on burning restrictions
- Plebiscite Information - This page includes frequently asked questions and answers about the plebiscite.